Sometimes I cannot make a decision, especially when it seems like there’s no good choice. How to make the right decision? Can you please help me improve my decision making ability?
Dear KG,
I am reminded of the time when a therapy client said to me, “The time for inaction is over,” and then added, “I will make my decision tomorrow.”
I knew that he would say the same thing next week, and of course, he knew it too.
Talking about action was enough to ease the anxiety of inaction, and so he continued to hold back from making this important decision that could change his life.
Most of us, during the course of a lifetime, will have to take many life changing decisions.
Of course, it could be argued that all decisions are life changing, especially the ones we don’t consciously make – If you weren’t late by five minutes for that train, you would not have met the person who would become your life partner, and so on.
But there are times in our lives when we know that the decision we have to make will have far reaching consequences.
Should I get married? To this person or to that? Should I move to a new place or stay here? Should I take this job or that? Or, should I join this university or that?
And so on.
If you have a difficult time with such decisions, if you are stuck, then it’s probably because you are thinking too much.
Decisions that force you to choose between ambiguous outcomes are difficult to make – your rational, theoretical brain will not be able to find a solution and will often spin in a closed ended loop.
Decisions can be difficult and complicated for a number of reasons, but often, difficult decisions are those when the 2 alternatives presented seem equally bad, or equally good.
(The first – 2 bad choices – is referred to as Morton’s Fork (more here at Wikipedia) and the other, Buridan’s Ass (here’s the wiki link)
While you struggle with the decision, thinking about it, weighing your options, the “correct” decision eludes you.
That is because your decision will not feel like the “right” one, unless it resonates with the emotional center of your brain.
Crystal structures, kept here for reference:
┌──
Arrangement A

{"formula": "MnAl2P2H20O16", "functional": "GGA+U", "state": "optimized geometry", "lattice": [[7.084, 0.000, 0.000], [-3.534, 9.781, 0.000], [-0.030, -3.555, 10.056]], "species": ["Mn", "Mn", "Al", "Al", "Al", "Al", "P", "P", "P", "P", "H", "H", "H", "H", "H", "H", "H", "H", "H", "H", "H", "H", "H", "H", "H", "H", "H", "H", "H", "H", "H", "H", "H", "H", "H", "H", "H", "H", "H", "H", "H", "H", "H", "H", "H", "H", "H", "H", "H", "H", "O", "O", "O", "O", "O", "O", "O", "O", "O", "O", "O", "O", "O", "O", "O", "O", "O", "O", "O", "O", "O", "O", "O", "O", "O", "O", "O", "O", "O", "O", "O", "O"], "frac_coords": [[0.128, 0.278, 0.011], [0.872, 0.722, 0.989], [0.000, 0.500, 0.500], [0.240, 0.250, 0.502], [0.500, 0.000, 0.500], [0.760, 0.750, 0.498], [0.066, 0.909, 0.319], [0.363, 0.454, 0.326], [0.637, 0.546, 0.674], [0.934, 0.091, 0.681], [0.073, 0.165, 0.219], [0.073, 0.716, 0.444], [0.099, 0.950, 0.897], [0.142, 0.530, 0.911], [0.150, 0.624, 0.748], [0.185, 0.952, 0.631], [0.216, 0.333, 0.785], [0.218, 0.685, 0.015], [0.287, 0.546, 0.655], [0.332, 0.875, 0.658], [0.349, 0.609, 0.150], [0.350, 0.885, 0.118], [0.378, 0.114, 0.884], [0.392, 0.688, 0.158], [0.393, 0.858, 0.165], [0.394, 0.139, 0.038], [0.404, 0.471, 0.871], [0.423, 0.739, 0.443], [0.479, 0.177, 0.215], [0.497, 0.110, 0.171], [0.503, 0.890, 0.829], [0.521, 0.823, 0.785], [0.577, 0.261, 0.557], [0.596, 0.529, 0.129], [0.606, 0.861, 0.962], [0.607, 0.142, 0.835], [0.608, 0.312, 0.842], [0.622, 0.886, 0.116], [0.650, 0.115, 0.882], [0.651, 0.391, 0.850], [0.668, 0.125, 0.342], [0.713, 0.454, 0.345], [0.782, 0.315, 0.985], [0.784, 0.667, 0.215], [0.815, 0.048, 0.369], [0.850, 0.376, 0.252], [0.858, 0.470, 0.089], [0.901, 0.050, 0.103], [0.927, 0.284, 0.556], [0.927, 0.835, 0.781], [0.015, 0.847, 0.859], [0.025, 0.326, 0.502], [0.052, 0.873, 0.167], [0.062, 0.065, 0.384], [0.116, 0.624, 0.938], [0.131, 0.201, 0.654], [0.200, 0.607, 0.660], [0.217, 0.531, 0.391], [0.255, 0.895, 0.379], [0.263, 0.411, 0.877], [0.302, 0.123, 0.961], [0.322, 0.309, 0.352], [0.333, 0.966, 0.648], [0.347, 0.420, 0.173], [0.414, 0.441, 0.620], [0.454, 0.175, 0.516], [0.546, 0.825, 0.484], [0.586, 0.559, 0.380], [0.653, 0.580, 0.827], [0.667, 0.034, 0.352], [0.678, 0.691, 0.648], [0.698, 0.877, 0.039], [0.737, 0.589, 0.123], [0.745, 0.105, 0.621], [0.783, 0.469, 0.609], [0.800, 0.393, 0.340], [0.869, 0.799, 0.346], [0.884, 0.376, 0.062], [0.938, 0.935, 0.616], [0.948, 0.127, 0.833], [0.975, 0.674, 0.498], [0.985, 0.153, 0.141]], "m_tot_mub_per_cell": 10.00, "volume_a3_per_atom": 8.5}

=====

Arrangement B
└──
When you make the “right” decision, you will not question it, you will know it.
Sounds kind of self-evident, but it bears underlining. The right decision – as Malcolm Gladwell discusses in his book, Blink – is often made in an instant.
So in order to make the right decision, you have to trust yourself.
If you are caught between a rock and a hard place, or between a stack of hay and a pail of water, act with conviction.
Trust your instincts, your emotions, your gut, and you will have made the right decision.
Dr Shyam Bhat